Type out the whole of the calculation results further below unchanged, please.

____________
Entry 1:
Compound: AgBi2WO8
Source: the Materials Project database
Functional: PBE+U
Structure: optimized geometry

Cell: 8.2877 7.6819 7.6819 Å, 97.49 116.85 116.85°
Closest atoms and distances in Å follow each position.
Element x y z (fractional)
O 0.1360 0.3134 0.0697  1 W 2.03, 1 Bi 2.21, 1 Ag 2.21
O 0.8640 0.6866 0.9303  1 W 2.03, 1 Bi 2.21, 1 Ag 2.21
Ag 0.6012 0.7221 0.7221  3 O 2.01-2.21
W 0.0000 0.7538 0.2462  6 O 1.87-2.03
Bi 0.9908 0.2538 0.2538  6 O 2.07-2.21
O 0.6528 0.9914 0.9914  3 Bi 2.17-2.37
O 0.8495 0.4384 0.1639  1 W 2.00, 1 Bi 2.21
Bi 0.0092 0.7462 0.7462  6 O 2.07-2.21
Bi 0.5000 0.8297 0.1703  6 O 2.37-2.44
O 0.3472 0.0086 0.0086  3 Bi 2.17-2.37
O 0.2556 0.8009 0.2767  1 W 1.87
O 0.2692 0.5285 0.5285  1 Ag 2.01, 1 Bi 2.07
W 0.0000 0.2462 0.7538  6 O 1.87-2.03
Bi 0.5000 0.1703 0.8297  6 O 2.37-2.44
O 0.1505 0.8361 0.5616  1 W 2.00, 1 Bi 2.21
O 0.7444 0.7233 0.1991  1 W 1.87
Ag 0.3988 0.2779 0.2779  3 O 2.01-2.21
O 0.1360 0.0697 0.3134  1 W 2.03, 1 Bi 2.21, 1 Ag 2.21
O 0.1505 0.5616 0.8361  1 W 2.00, 1 Bi 2.21
O 0.8640 0.9303 0.6866  1 W 2.03, 1 Bi 2.21, 1 Ag 2.21
O 0.8495 0.1639 0.4384  1 W 2.00, 1 Bi 2.21
O 0.2556 0.2767 0.8009  1 W 1.87
O 0.7444 0.1991 0.7233  1 W 1.87
O 0.7308 0.4715 0.4715  1 Ag 2.01, 1 Bi 2.07

Output
* M_tot: 2.00 μB/cell
* formation enthalpy at 0 K: -16.77 eV per formula unit
* calculated total energy: -0.4287 Ry per atom
* space group: C2/m

=====

Entry 2:
Compound: Mn6O5F7
Source: the Materials Project database
Functional: PBE+U
Structure: optimized geometry

Cell: 4.7321 5.7230 15.5754 Å, 90.05 90.66 91.61°
Closest atoms and distances in Å follow each position.
Element x y z (fractional)
O 0.6998 0.6295 0.6379  3 Mn 1.97-2.05
F 0.7462 0.1190 0.9745  2 Mn 2.08-2.13
O 0.2861 0.3942 0.3558  3 Mn 1.88-2.02
Mn 0.4964 0.3467 0.5819  2 O 2.00-2.05, 4 F 2.06-2.11
O 0.2842 0.5990 0.8508  3 Mn 1.95-2.06
O 0.2301 0.1170 0.1987  3 Mn 1.91-2.06
O 0.7228 0.6072 0.9730  3 Mn 1.99-2.04
F 0.7614 0.8846 0.4755  3 Mn 2.05-2.21
F 0.2529 0.3922 0.6891  3 Mn 2.05-2.06
Mn 0.0032 0.1592 0.0867  5 F 2.02-2.14, 1 O 2.06
F 0.2472 0.6012 0.5239  3 Mn 2.10-2.15
O 0.2973 0.6153 0.1910  3 Mn 1.97-2.01
Mn 0.4711 0.3513 0.2511  3 O 1.88-1.97, 1 F 2.02
O 0.2304 0.8901 0.3597  3 Mn 1.90-2.02
F 0.7606 0.6162 0.2999  3 Mn 2.04-2.20
F 0.2579 0.3954 0.0264  3 Mn 2.02-2.15
F 0.7649 0.1235 0.3078  3 Mn 2.12-2.31
F 0.7361 0.3909 0.4690  3 Mn 2.11-2.18
Mn 0.4839 0.6625 0.4110  2 O 1.96-1.97, 3 F 2.05-2.18
O 0.2092 0.8955 0.6981  3 Mn 1.92-2.00
O 0.2215 0.1089 0.8637  3 Mn 1.92-2.06
F 0.7473 0.8791 0.8092  3 Mn 2.00-2.14
Mn 0.0529 0.8457 0.2506  3 O 1.90-2.01, 2 F 2.04-2.06
Mn 0.0164 0.8181 0.9138  3 O 2.04-2.06, 2 F 2.09-2.10
F 0.7123 0.3668 0.1449  3 Mn 2.02-2.14
Mn 0.4822 0.6644 0.7441  3 O 1.95-2.00, 2 F 2.00-2.05
O 0.2260 0.1078 0.5320  3 Mn 2.00-2.03
Mn 0.5109 0.6503 0.0811  2 O 1.99-2.00, 4 F 2.03-2.14
F 0.2330 0.8865 0.0298  3 Mn 2.07-2.13
Mn 0.0229 0.1433 0.7566  2 O 1.92, 4 F 2.00-2.14
F 0.7620 0.1320 0.6503  3 Mn 2.05-2.20
Mn 0.9948 0.8494 0.5900  3 O 1.97-2.03, 3 F 2.10-2.20
Mn 0.4936 0.3565 0.9107  3 O 1.96-2.02, 3 F 2.08-2.15
F 0.7909 0.8658 0.1443  3 Mn 2.03-2.14
F 0.7522 0.3782 0.7991  2 Mn 2.00-2.14
Mn 0.0395 0.1568 0.4180  3 O 2.00-2.02, 3 F 2.15-2.21

Output
* distance to the lowest polymorph of the same formula: 42 meV per atom
* M_tot: 50.00 μB/cell
* formation enthalpy at 0 K: -43.17 eV per formula unit
* calculated total energy: -0.4884 Ry per atom
* space group: P1

=====

Entry 3:
Compound: Fe4AgPXe2F6
Source: the Materials Project database
Functional: PBE+U
Structure: optimized geometry

Cell: 10.6971 10.6971 10.6971 Å, 123.10 123.10 84.70°
Closest atoms and distances in Å follow each position.
Element x y z (fractional)
Fe 0.8088 0.0734 0.8112  1 F 1.85
Fe 0.9266 0.7377 0.7353  1 F 1.85
F 0.3271 0.0743 0.5888  1 Fe 1.85
Fe 0.5024 0.2377 0.8112  1 F 1.85
Fe 0.0024 0.1912 0.2647  1 F 1.85
P 0.0000 0.0000 0.0000  2 F 1.85
Xe 0.0180 0.4820 0.0000  2 F 3.20
Ag 0.0000 0.5000 0.5000  4 F 2.40
____________

Entry 1:
Compound: AgBi2WO8
Source: the Materials Project database
Functional: PBE+U
Structure: optimized geometry

Cell: 8.2877 7.6819 7.6819 Å, 97.49 116.85 116.85°
Closest atoms and distances in Å follow each position.
Element x y z (fractional)
O 0.1360 0.3134 0.0697  1 W 2.03, 1 Bi 2.21, 1 Ag 2.21
O 0.8640 0.6866 0.9303  1 W 2.03, 1 Bi 2.21, 1 Ag 2.21
Ag 0.6012 0.7221 0.7221  3 O 2.01-2.21
W 0.0000 0.7538 0.2462  6 O 1.87-2.03
Bi 0.9908 0.2538 0.2538  6 O 2.07-2.21
O 0.6528 0.9914 0.9914  3 Bi 2.17-2.37
O 0.8495 0.4384 0.1639  1 W 2.00, 1 Bi 2.21
Bi 0.0092 0.7462 0.7462  6 O 2.07-2.21
Bi 0.5000 0.8297 0.1703  6 O 2.37-2.44
O 0.3472 0.0086 0.0086  3 Bi 2.17-2.37
O 0.2556 0.8009 0.2767  1 W 1.87
O 0.2692 0.5285 0.5285  1 Ag 2.01, 1 Bi 2.07
W 0.0000 0.2462 0.7538  6 O 1.87-2.03
Bi 0.5000 0.1703 0.8297  6 O 2.37-2.44
O 0.1505 0.8361 0.5616  1 W 2.00, 1 Bi 2.21
O 0.7444 0.7233 0.1991  1 W 1.87
Ag 0.3988 0.2779 0.2779  3 O 2.01-2.21
O 0.1360 0.0697 0.3134  1 W 2.03, 1 Bi 2.21, 1 Ag 2.21
O 0.1505 0.5616 0.8361  1 W 2.00, 1 Bi 2.21
O 0.8640 0.9303 0.6866  1 W 2.03, 1 Bi 2.21, 1 Ag 2.21
O 0.8495 0.1639 0.4384  1 W 2.00, 1 Bi 2.21
O 0.2556 0.2767 0.8009  1 W 1.87
O 0.7444 0.1991 0.7233  1 W 1.87
O 0.7308 0.4715 0.4715  1 Ag 2.01, 1 Bi 2.07

Output
* M_tot: 2.00 μB/cell
* formation enthalpy at 0 K: -16.77 eV per formula unit
* calculated total energy: -0.4287 Ry per atom
* space group: C2/m

=====

Entry 2:
Compound: Mn6O5F7
Source: the Materials Project database
Functional: PBE+U
Structure: optimized geometry

Cell: 4.7321 5.7230 15.5754 Å, 90.05 90.66 91.61°
Closest atoms and distances in Å follow each position.
Element x y z (fractional)
O 0.6998 0.6295 0.6379  3 Mn 1.97-2.05
F 0.7462 0.1190 0.9745  2 Mn 2.08-2.13
O 0.2861 0.3942 0.3558  3 Mn 1.88-2.02
Mn 0.4964 0.3467 0.5819  2 O 2.00-2.05, 4 F 2.06-2.11
O 0.2842 0.5990 0.8508  3 Mn 1.95-2.06
O 0.2301 0.1170 0.1987  3 Mn 1.91-2.06
O 0.7228 0.6072 0.9730  3 Mn 1.99-2.04
F 0.7614 0.8846 0.4755  3 Mn 2.05-2.21
F 0.2529 0.3922 0.6891  3 Mn 2.05-2.06
Mn 0.0032 0.1592 0.0867  5 F 2.02-2.14, 1 O 2.06
F 0.2472 0.6012 0.5239  3 Mn 2.10-2.15
O 0.2973 0.6153 0.1910  3 Mn 1.97-2.01
Mn 0.4711 0.3513 0.2511  3 O 1.88-1.97, 1 F 2.02
O 0.2304 0.8901 0.3597  3 Mn 1.90-2.02
F 0.7606 0.6162 0.2999  3 Mn 2.04-2.20
F 0.2579 0.3954 0.0264  3 Mn 2.02-2.15
F 0.7649 0.1235 0.3078  3 Mn 2.12-2.31
F 0.7361 0.3909 0.4690  3 Mn 2.11-2.18
Mn 0.4839 0.6625 0.4110  2 O 1.96-1.97, 3 F 2.05-2.18
O 0.2092 0.8955 0.6981  3 Mn 1.92-2.00
O 0.2215 0.1089 0.8637  3 Mn 1.92-2.06
F 0.7473 0.8791 0.8092  3 Mn 2.00-2.14
Mn 0.0529 0.8457 0.2506  3 O 1.90-2.01, 2 F 2.04-2.06
Mn 0.0164 0.8181 0.9138  3 O 2.04-2.06, 2 F 2.09-2.10
F 0.7123 0.3668 0.1449  3 Mn 2.02-2.14
Mn 0.4822 0.6644 0.7441  3 O 1.95-2.00, 2 F 2.00-2.05
O 0.2260 0.1078 0.5320  3 Mn 2.00-2.03
Mn 0.5109 0.6503 0.0811  2 O 1.99-2.00, 4 F 2.03-2.14
F 0.2330 0.8865 0.0298  3 Mn 2.07-2.13
Mn 0.0229 0.1433 0.7566  2 O 1.92, 4 F 2.00-2.14
F 0.7620 0.1320 0.6503  3 Mn 2.05-2.20
Mn 0.9948 0.8494 0.5900  3 O 1.97-2.03, 3 F 2.10-2.20
Mn 0.4936 0.3565 0.9107  3 O 1.96-2.02, 3 F 2.08-2.15
F 0.7909 0.8658 0.1443  3 Mn 2.03-2.14
F 0.7522 0.3782 0.7991  2 Mn 2.00-2.14
Mn 0.0395 0.1568 0.4180  3 O 2.00-2.02, 3 F 2.15-2.21

Output
* distance to the lowest polymorph of the same formula: 42 meV per atom
* M_tot: 50.00 μB/cell
* formation enthalpy at 0 K: -43.17 eV per formula unit
* calculated total energy: -0.4884 Ry per atom
* space group: P1

=====

Entry 3:
Compound: Fe4AgPXe2F6
Source: the Materials Project database
Functional: PBE+U
Structure: optimized geometry

Cell: 10.6971 10.6971 10.6971 Å, 123.10 123.10 84.70°
Closest atoms and distances in Å follow each position.
Element x y z (fractional)
Fe 0.8088 0.0734 0.8112  1 F 1.85
Fe 0.9266 0.7377 0.7353  1 F 1.85
F 0.3271 0.0743 0.5888  1 Fe 1.85
Fe 0.5024 0.2377 0.8112  1 F 1.85
Fe 0.0024 0.1912 0.2647  1 F 1.85
P 0.0000 0.0000 0.0000  2 F 1.85
Xe 0.0180 0.4820 0.0000  2 F 3.20
Ag 0.0000 0.5000 0.5000  4 F 2.40